**Contents:**
- - -
LiVSiO4 PBE with a Hubbard U optimized geometry; VASP energy = -7.29 eV per atom; total magnetic moment = 0.00 μB/f.u.; formation energy from the elements = -63.59 kcal/mol of atoms; polymorph energy (0 for the lowest one) = 82 meV/atom; calculated volume = 15.1 Å³ per atom
1.0
5.415 0.001 0.000
0.002 9.377 0.000
0.000 0.000 12.464
V Li O Si
6 6 24 6
Cartesian
1.356 7.032 10.386 V
4.061 2.345 10.386 V
4.062 7.033 2.079 V
2.707 0.001 6.230 V
1.354 2.344 2.079 V
5.416 4.689 6.230 V
2.708 4.689 12.463 Li
5.415 0.001 4.155 Li
2.708 4.689 4.154 Li
2.708 4.689 8.309 Li
5.415 0.001 8.309 Li
5.415 0.001 12.463 Li
2.634 6.536 3.250 O
5.341 1.848 3.251 O
5.341 7.531 9.214 O
3.775 8.517 0.905 O
1.141 3.698 7.404 O
1.643 8.518 11.557 O
4.275 5.680 7.404 O
4.349 3.830 11.557 O
0.076 7.529 3.251 O
1.067 5.548 11.557 O
1.067 3.828 0.906 O
2.783 2.841 3.250 O
0.075 1.847 9.214 O
1.641 0.861 0.905 O
3.849 0.991 5.062 O
1.567 8.387 5.062 O
3.774 0.860 11.557 O
1.567 0.990 7.404 O
3.850 8.388 7.404 O
1.143 5.680 5.062 O
2.632 2.841 9.214 O
2.785 6.537 9.214 O
4.350 5.550 0.906 O
4.274 3.698 5.062 O
4.062 2.345 4.155 Si
2.709 9.377 12.463 Si
1.355 7.033 4.155 Si
0.001 4.688 12.463 Si
1.353 2.344 8.309 Si
4.063 7.034 8.309 Si

* * * * *

No. 1
A relaxed BaSm4Si3SeO12 crystal. Source: the Materials Project database, functional PBE-GGA.

## Properties
Formation energy from the elements = -72.97 eV per formula unit

abc: 10.0432 10.0432 6.9765
angles: 90.00 90.00 120.00
Space group P6_3 (No. 173)
Unique sites:
Ba1 0.3333 0.6667 0.0000 (multiplicity 2)
Sm1 0.0154 0.7578 0.7438 (multiplicity 6)
Sm2 0.3333 0.6667 0.4941 (multiplicity 2)
Si1 0.0277 0.4045 0.7484 (multiplicity 6)
Se1 0.0000 0.0000 0.4962 (multiplicity 2)
O1 0.0847 0.3487 0.5575 (multiplicity 6)
O2 0.1015 0.3584 0.9320 (multiplicity 6)
O3 0.1171 0.5948 0.7240 (multiplicity 6)
O4 0.1569 0.6711 0.2762 (multiplicity 6)

=====

No. 2
A relaxed Sr2YTlCu2O7 crystal. Source: the Materials Project database, functional PBE-GGA.

## Properties
Relative energy among the computed polymorphs = 4 meV per atom
Formation energy from the elements = -29.18 eV per formula unit

abc: 3.825 3.825 12.190
angles: 90.00 90.00 90.00
Space group P4/mmm (No. 123)
Unique sites:
Sr1 0.000 0.000 0.206 (multiplicity 2)
Y1 0.000 0.000 0.500 (multiplicity 1)
Tl1 0.500 0.500 0.000 (multiplicity 1)
Cu1 0.500 0.500 0.362 (multiplicity 2)
O1 0.000 0.000 0.000 (multiplicity 1)
O2 0.000 0.500 0.380 (multiplicity 4)
O3 0.500 0.500 0.174 (multiplicity 2)

=====

No. 3
- - -

**Wanted:**
Please echo all of the listing above without altering anything.

**Solution:**
LiVSiO4 PBE with a Hubbard U optimized geometry; VASP energy = -7.29 eV per atom; total magnetic moment = 0.00 μB/f.u.; formation energy from the elements = -63.59 kcal/mol of atoms; polymorph energy (0 for the lowest one) = 82 meV/atom; calculated volume = 15.1 Å³ per atom
1.0
5.415 0.001 0.000
0.002 9.377 0.000
0.000 0.000 12.464
V Li O Si
6 6 24 6
Cartesian
1.356 7.032 10.386 V
4.061 2.345 10.386 V
4.062 7.033 2.079 V
2.707 0.001 6.230 V
1.354 2.344 2.079 V
5.416 4.689 6.230 V
2.708 4.689 12.463 Li
5.415 0.001 4.155 Li
2.708 4.689 4.154 Li
2.708 4.689 8.309 Li
5.415 0.001 8.309 Li
5.415 0.001 12.463 Li
2.634 6.536 3.250 O
5.341 1.848 3.251 O
5.341 7.531 9.214 O
3.775 8.517 0.905 O
1.141 3.698 7.404 O
1.643 8.518 11.557 O
4.275 5.680 7.404 O
4.349 3.830 11.557 O
0.076 7.529 3.251 O
1.067 5.548 11.557 O
1.067 3.828 0.906 O
2.783 2.841 3.250 O
0.075 1.847 9.214 O
1.641 0.861 0.905 O
3.849 0.991 5.062 O
1.567 8.387 5.062 O
3.774 0.860 11.557 O
1.567 0.990 7.404 O
3.850 8.388 7.404 O
1.143 5.680 5.062 O
2.632 2.841 9.214 O
2.785 6.537 9.214 O
4.350 5.550 0.906 O
4.274 3.698 5.062 O
4.062 2.345 4.155 Si
2.709 9.377 12.463 Si
1.355 7.033 4.155 Si
0.001 4.688 12.463 Si
1.353 2.344 8.309 Si
4.063 7.034 8.309 Si

* * * * *

No. 1
A relaxed BaSm4Si3SeO12 crystal. Source: the Materials Project database, functional PBE-GGA.

## Properties
Formation energy from the elements = -72.97 eV per formula unit

abc: 10.0432 10.0432 6.9765
angles: 90.00 90.00 120.00
Space group P6_3 (No. 173)
Unique sites:
Ba1 0.3333 0.6667 0.0000 (multiplicity 2)
Sm1 0.0154 0.7578 0.7438 (multiplicity 6)
Sm2 0.3333 0.6667 0.4941 (multiplicity 2)
Si1 0.0277 0.4045 0.7484 (multiplicity 6)
Se1 0.0000 0.0000 0.4962 (multiplicity 2)
O1 0.0847 0.3487 0.5575 (multiplicity 6)
O2 0.1015 0.3584 0.9320 (multiplicity 6)
O3 0.1171 0.5948 0.7240 (multiplicity 6)
O4 0.1569 0.6711 0.2762 (multiplicity 6)

=====

No. 2
A relaxed Sr2YTlCu2O7 crystal. Source: the Materials Project database, functional PBE-GGA.

## Properties
Relative energy among the computed polymorphs = 4 meV per atom
Formation energy from the elements = -29.18 eV per formula unit

abc: 3.825 3.825 12.190
angles: 90.00 90.00 90.00
Space group P4/mmm (No. 123)
Unique sites:
Sr1 0.000 0.000 0.206 (multiplicity 2)
Y1 0.000 0.000 0.500 (multiplicity 1)
Tl1 0.500 0.500 0.000 (multiplicity 1)
Cu1 0.500 0.500 0.362 (multiplicity 2)
O1 0.000 0.000 0.000 (multiplicity 1)
O2 0.000 0.500 0.380 (multiplicity 4)
O3 0.500 0.500 0.174 (multiplicity 2)

=====

No. 3